
"Dittohead" (1994 Single)
1. Dittohead 2. Serenity and Murder 3. Divine Intervention
1. Dittohead
This fucking country's lost its grip
Subconscious hold begins to slip
The scales of justice tend to tip
The legal system has no spine
It's corroding from inside
Slap your hand you'll do no time
Reality on vacation
All across a blinded nation
Mentality under sedation
Anyone can be set free
### Misplaced data records
-- begin --
Entry 1:
An isolated molecule of C8H14N2O at a distorted geometry, computed with ωB97M-V/def2-TZVPD.

```
25
Properties=species:S:1:pos:R:3:forces:R:3
C -0.877595 1.400065 -0.633521 2.5 0.5 2.1
C -0.712332 -0.201981 1.306225 1.3 0.6 -0.7
C 1.615454 0.293254 -1.086414 1.8 0.6 -1.5
C -1.610381 0.382246 0.224271 -0.7 -1.1 -0.7
C 0.730055 1.225955 -0.303923 -2.6 -1.7 2.1
C 0.681764 0.467211 1.118235 0.7 0.1 -1.4
C 1.863327 -0.472382 1.027364 -1.7 -0.1 0.7
C -2.201029 -0.742230 -0.654711 2.9 -0.9 1.5
N 2.428030 -0.579244 -0.158307 -1.6 1.7 1.5
N 3.415831 -1.325466 -0.406934 0.9 -1.8 0.8
O -3.258974 -1.419224 -0.092543 -1.2 -1.7 3.6
H -0.982304 1.156431 -1.640617 -0.6 0.2 -1.9
H -1.305213 2.408134 -0.338661 1.1 -0.9 -0.9
H -1.029801 0.046457 2.272687 -0.8 0.5 1.5
H -0.645778 -1.288689 1.330438 0.0 -0.2 -0.5
H 1.085167 -0.377168 -1.715291 -0.7 -0.8 -0.5
H 2.383752 0.736103 -1.744780 -0.5 0.4 0.2
H -2.432665 0.906004 0.659219 -0.8 0.2 0.5
H 1.174553 2.147777 -0.100268 0.8 1.5 -0.2
H 0.821528 1.242917 1.879840 0.0 -0.3 0.1
H 1.886753 -1.254671 1.775450 1.1 0.0 -0.1
H -2.562767 -0.381019 -1.570767 -0.4 0.6 -1.3
H 3.976463 -1.176626 -1.214692 -0.5 0.8 -1.2
H -1.306528 -1.460114 -0.840070 -1.2 0.9 -0.2
H -3.137299 -1.733729 0.907769 0.1 1.2 -3.4
```
Positions in Å, forces in eV/Å.

E_HOMO (spin up / spin down): -0.26960 / -0.26964 hartree
net charge: 0
frontier orbital gap (spin up / spin down): 8.090 / 8.091 eV
LUMO energy (spin up / spin down): 0.75 / 0.75 eV


Entry 2:
An isolated molecule of C2H4OS at a distorted geometry, computed with ωB97M-V/def2-TZVPD.

```
8
Properties=species:S:1:pos:R:3:forces:R:3
C 0.145938 -1.013378 0.133546 -1.3 -4.1 2.6
S -1.030887 0.173671 0.759161 0.7 1.8 -0.6
C -0.255034 1.341706 -0.258435 3.8 7.2 1.5
O -0.062292 2.618957 0.079579 -1.5 -7.2 -2.7
H 0.992837 -1.333791 0.993566 -2.4 0.9 -2.5
H -0.920468 -1.727999 0.229057 4.3 -0.2 -1.3
H 0.647109 -0.763447 -0.885684 -1.4 -1.2 1.8
H 0.482796 0.704280 -1.050791 -2.1 2.8 1.3
```
Positions in Å, forces in eV/Å.

SMILES: CSC=O
E_HOMO: -0.34636 hartree
net charge: 0
frontier orbital gap: 9.544 eV
LUMO energy: 0.12 eV


Entry 3:
A structure of composition C34H34N3O5P2Pt at a distorted geometry, computed with ωB97M-V/def2-TZVPD.

```
79
Properties=species:S:1:pos:R:3:forces:R:3
Pt 0.167839 -1.070796 0.540882 -1.5 0.5 -0.2
C -0.584338 -4.357525 -1.739640 0.0 -0.1 0.1
C 0.067312 -4.461974 -0.406631 0.1 0.1 0.1
N 0.691785 -3.474683 0.191633 0.0 -0.1 -0.1
C 1.118496 -3.945655 1.400782 -0.1 -0.1 -0.1
C 0.756557 -5.262245 1.529864 0.1 0.3 -0.1
N 0.088960 -5.570999 0.371043 0.0 -0.1 0.0
C 0.960098 -6.268892 2.582810 0.2 -0.2 0.5
O 1.601190 -5.858273 3.644712 -0.3 -0.9 -0.2
O 0.547075 -7.406366 2.433818 -0.1 0.0 -0.2
C 1.767501 -3.020721 2.378921 0.1 0.5 -0.1
O 2.160249 -3.524697 3.467251 0.2 0.4 -0.1
O 1.845903 -1.814858 2.057666 0.1 -0.4 0.1
H -0.671225 -3.298061 -1.975218 0.0 0.0 0.0
H -1.580451 -4.802404 -1.727818 0.0 0.0 0.0
H 0.010911 -4.845884 -2.513953 0.0 0.0 0.0
-- stop --
On a technicality
Explain the law again to me
Here in 1994
Things are different than before
Violence is what we adore
Invitation to the game
Guns and blades and media fame
Every day more of the same
Murder, mayhem, anarchy
Now are all done legally
Mastermind your killing spree
Unafraid of punishment
With a passive government
There's nothing for you to regret
Nothing to regret
Unimposing policy
No enforcing ministry
Gaping with judicial flaws
Watching a fading nation crawl
(Lead: Hanneman)
Clashing with the public's frame
I'm the one that's place in fame
Legislature sets the stage
Social slaves caught in my rage
(Lead: King)
Administrative anarchy there's nothing
You can do to me
The world around you drifting to a
Continental tomb you see
Violence is my passion
I will never be contained
Living with aggression and its
Everlasting reign
2. Serenity and Murder
Let me take you down without a sound
Dead before you hit the ground
Blood washes my hand can't understand
Sterilizing my pain
Washed away with crimson tide
By my hand I keep testing time
Quench the fire that drives my soul
Soothing me as death takes hold
(Lead: Hanneman)
Peaceful and serene slowly bleeding
Eyes once bright are now fading
Pallid ashen face against my skin
Staring blindly at some distant place
Washed away by crimson tide
By my hand I keep testing time
Straight flesh lace adorns your neck
Spilling your blood all over my flesh
(Lead: King)
Quench the fire that drives my soul
Soothing me as death takes hold
Divine godsend enveloping me
Spiritual ecstasy sets me free
3. Divine Intervention
In a web like hell
How did "I reach this place
Why are they haunting me
I cannot look at God's face
Brilliant light
Trying to run
Want to scream but cannot speak
I cannot look at God's face
(Lead: King)
Blind my eyes I can't see
What is being done to me
In my mind only pain
All the memories are drained
Deathless torture
Void with no mercy
Black shroud binds those who see
Naked before you I stand
Shattered shrine of flesh and bone
God's piercing through my soul
(Lead: King)
(Lead: Hanneman)
Segments of my life
Morbid pieces of reality
Twisted personality
Many faces yet faceless
Familiar things give way to strange
No mercy no reason but pain
Subconscious control
Threshold of pain unfolds
Transfixed martyr saving race
Who am I to judge thy grace
In a web like hell
How did I reach this place
Why are they haunting me
I cannot look at God's face